21. La Brea--the enormity of bones, the presence/absence of extinct land roaming mammoths in a human-scaled urban environment--A rouse of wonder, respect, and subtle sadness.
These black pit pools of asphalt, tar or "brea" have been both ending and preserving the asphaltum-brown bones of various creatures for at least 38,000 years. The pits and park share common grounds with the Los Angeles County Museum of Art as well as the Page Museum.
Fiberglass mammoths and sloths are built to scale and settle about the grass and tar-scape. Fenced off pit pools, active excavation pits, exhausted pits, a pleistocence plant garden, a storage lot of excavated tar crates, and a small tar stream.
The Insides of the Page hold recovered remains, artist murals, informative time-lines, and reconstructed dioramas.
Treasures of the Tar Pits by Mark Hallet
The story of the tar
Faults and breaks in the sediment of the Los Angeles basin allowed deep dwelling oil deposits to rise and gather on the surface. The tar pools were likely covered with dust or debris, leaves and sticks. Animals, large and small could easily become trapped in just a few inches of tar in upon passing through the basin. These struggling animals attracted carnivorous species of many varieties, which themselves became trapped in the tar, attracting still more meat eaters and scavengers. It is this interminable system of trapping and feeding, death and struggle that has made the la Brea collection most plentiful in carnivorous species. The dire wolf is the most abundant specimen of all the discoveries, followed by the saber tooth and coyote. In fact, 90 % of animals found at la Brea are carnivorous creatures. An article by John Harris from Rancho La Brea--Death Trap and Treasure Trove puts it: "For every large herbivore in the collections there is a saber tooth, a coyote, and four dire wolves."
So, in the late 1800s the pits became a mining operation. The tar was utilized as fuel, as a preservative for pipes and rail ties, for roofing, as a sealant mortar for stone streets and walkways in the city. In 1875, a geologist by the name Denton visited the pits and found a saber cat's 11-inch tooth in the tar. The first major excavation operation began in 1909 and a collection of specimens began which later became the Natural History Museum of Los Angeles County. In the early excavations, the bones were removed from the tar and soaked in tubs of kerosene on the site then carted over to the museum. In the following years, more precise and elaborate excavation methods have been implemented and in 1977 the Page Museum and Hancock Park came into existence
Today, and even in the early 1900s, the fossils of La Brea have been recognized as one of the most important fossil collections in the world. The La Brea collection addresses the diversity of life and the climactic changes of California before, during, and after humans set their feet in North America.
All in all, more than 600 species have been documented to date (totaling well over 1 million bones). 58 species of mammal, 138 species of birds, 6 species of amphibians, 3 species of fish, 56 mollusk species, 168 kinds of arthropods, and many plant, tree and pollen remains. (A more comprehensive list sits at the foot of this blogpost)
<<<
18
Properties=species:S:1:pos:R:3:lowdin_charge:R:1 method="wB97M-V/def2-TZVPD" multiplicity=1 e_homo_ev=-7.004 gap_ev=6.0 e_above_lowest_kcal_mol=156.3 charge=0 e_lumo_ha=-0.0383 total_energy_ha=-343.8876
N 2.163 -0.378 -0.553 0.05
N -0.382 -1.949 -0.840 0.00
C -0.469 -0.842 1.278 0.10
C 0.839 0.203 -0.738 -0.41
C -0.284 -0.754 -0.187 -0.56
C -2.785 0.598 0.366 0.20
C 0.812 1.616 -0.171 -0.07
C -1.730 0.007 0.345 -0.07
H -1.332 -2.087 -1.193 0.01
H 2.438 -0.359 0.423 0.07
H 0.159 -0.247 1.938 0.10
H 0.645 0.258 -1.814 0.13
H 1.020 1.625 0.903 0.07
H -0.946 -1.749 1.637 0.11
H -3.726 1.081 0.477 0.05
H 2.150 -1.350 -0.851 0.07
H 1.574 2.223 -0.665 0.08
H -0.146 2.104 -0.354 0.07

---

57
Properties=species:S:1:pos:R:3:lowdin_charge:R:1 method="wB97M-V/def2-TZVPD" multiplicity=3 e_homo_ev="1.329 / -0.290" gap_ev="3.0 / 4.6" e_above_lowest_kcal_mol=0.0 charge=-2 e_lumo_ha="0.1589 / 0.1588" total_energy_ha=-5872.8006
Se 1.863 -0.586 0.115 0.62
Ni 1.048 -1.218 2.232 -0.26
S 0.962 0.794 2.795 0.55
P 0.982 1.758 -1.863 1.02
N 0.608 1.518 5.304 0.00
N 0.278 -0.694 4.923 -0.04
N 1.231 -3.271 2.118 0.00
N 0.534 -1.650 4.000 -0.14
C 0.101 -5.176 3.106 -0.07
C 1.843 3.762 -5.226 -0.09
C 0.532 0.539 4.463 -0.91
C 0.355 -0.842 -1.000 -0.65
C 1.851 2.948 -4.069 -0.12
C 0.317 0.094 -2.092 -0.46
C 0.389 -6.003 2.007 -0.15
C 0.597 4.127 -5.793 -0.12
C -0.509 -1.765 -3.446 -0.13
C -0.580 3.622 -5.249 -0.10
C -0.632 -3.343 5.383 -0.09
C 0.173 -2.893 4.204 -0.33
C -2.248 4.269 0.395 -0.12
C -2.151 2.859 0.571 -0.09
C -1.128 2.076 0.025 -0.09
C 1.158 -5.421 1.020 -0.17
C -0.106 -0.427 -3.337 -0.13
C -0.578 2.946 -3.998 -0.09
C -0.360 4.035 -1.126 -0.12
C -0.543 -1.954 -1.002 -0.13
C 1.445 -4.069 1.031 -0.17
C 0.647 2.601 -3.458 -0.43
C -0.273 2.649 -0.925 -0.38
C -0.895 -2.456 -2.232 -0.11
C 0.499 -3.817 3.153 -0.26
C -1.280 4.870 -0.420 -0.11
H -2.851 2.344 1.261 0.10
H -0.969 1.058 0.366 0.08
H -0.217 -4.267 5.897 0.07
H -0.718 -2.428 6.058 0.06
H -0.090 0.278 -4.209 0.09
H 0.938 2.432 4.910 0.09
H -3.041 4.840 0.944 0.09
H -0.465 -5.637 3.881 0.07
H -0.891 -2.404 -0.082 0.09
H 0.465 4.769 -6.662 0.08
H 0.370 4.506 -1.829 0.11
H 0.011 -7.028 1.812 0.08
H 1.586 -5.996 0.251 0.05
H -1.406 -3.402 -2.253 0.08
H -1.248 5.937 -0.656 0.08
H -1.524 3.867 -5.698 0.08
H 1.992 -3.570 0.239 0.07
H -1.625 -3.727 5.116 0.05
H 0.113 1.481 6.208 0.09
H 2.765 2.588 -3.577 0.09
H 2.795 4.016 -5.689 0.08
H -1.519 2.684 -3.501 0.12
H -0.602 -2.224 -4.397 0.05

---

16
Properties=species:S:1:pos:R:3:lowdin_charge:R:1 method="wB97M-V/def2-TZVPD" multiplicity=1 e_homo_ev=-8.596 smiles=NCNCCS gap_ev=9.5 e_above_lowest_kcal_mol=23.0 charge=0 e_lumo_ha=0.0328 total_energy_ha=-627.9579
S 1.986 -2.430 -1.470 0.68
N -1.416 1.451 2.129 -0.01
N -0.239 0.551 0.129 -0.09
C 0.196 -0.808 -0.001 -0.32
C 1.045 -0.883 -1.283 -0.59
C -1.412 1.245 0.642 -0.28
H -1.360 2.229 0.190 0.10
H 0.834 -1.169 0.828 0.10
H -0.523 -1.618 -0.111 0.11
H 2.381 -2.231 -2.726 -0.16
H -2.282 0.651 0.368 0.11
>>>
Shasta ground sloth:
the smaller of the 2 sloth species found at La Brea
most common in the desert southwest
Harlan's Ground Sloth:
stood over six feet tall
weighed in around 1500 lbs
probably ate grasses and trees.
The antique Bison:
larger than the modern bison
at least 150 found at La Brea,
still smaller than the long-horned bison(also found in La Brea),
the long horn's horn-span measured more than 7.2 feet
columbian mammoth:
most common mammoth of North America during the ice age
this one was likely 15,000 pounds and stood 12 feet tall.
35 found in La Brea
most were young males
lived most recently of the elephant related mammals
smaller than the mammoths
extinct camel:
most common camel at la brea
at least 36 individuals found
[Misplaced data records]
<<<
Entry 1:
A structure of composition C10H13ClO3PdS at a distorted geometry, computed with wB97M-V/def2-TZVPD.

Values from the calculation:
**Expectation value of S²**: 6.02
**Net charge**: +2
**Multiplicity**: 5
**Lowest unoccupied orbital energy (alpha / beta)**: -0.238 / -0.430 Eh
**Gap between HOMO and LUMO (alpha / beta)**: 8.10 / 5.00 eV

Each line ends with the Löwdin spin population.
CARTESIAN COORDINATES (ANGSTROEM)
Cl -1.34921 2.69975 -1.21504  0.33
C -0.85328 -1.81977 -1.15707  0.36
C 0.54179 -1.98523 -0.95688  0.34
C 1.22753 -1.00593 -1.71853  0.24
H 1.01416 -2.78362 -0.37987  0.01
C 0.25384 -0.24904 -2.48081  0.23
C -1.05588 -0.75691 -2.08927  0.14
H -1.98689 -0.40758 -2.52835  0.00
H -1.63700 -2.45189 -0.73908  0.01
H 2.30341 -0.85242 -1.80353  0.00
C 0.53719 0.69735 -3.58701  0.04
Pd -0.11191 0.71510 -0.56194  0.83
C 1.48498 1.17060 0.50789  0.08
O 2.29570 1.38591 1.29337  0.02
C -1.58876 1.63250 0.37365  0.23
O -2.36685 1.87690 1.22158  0.10
H 1.48993 1.20756 -3.41674  0.00
H -0.25390 1.44748 -3.66073  0.01
H 0.60148 0.16827 -4.54396  0.02
C -2.26273 -0.50986 3.44704  0.06
S -0.52340 -0.80190 3.17411  0.30
C -0.38068 -2.45116 3.83980  0.06
O -0.33367 -0.95175 1.69164  0.57
H -2.46542 -0.73932 4.49948  0.00
H -2.82325 -1.16391 2.76818  0.01
H -2.45718 0.54638 3.22210  0.00
H -1.18977 -3.06312 3.42576  0.01
H 0.59970 -2.84793 3.55298  0.00
H -0.46200 -2.36593 4.92782  0.00

---

Entry 2:
A cluster of 2 separate species, H2N3O in total at a distorted geometry, computed with wB97M-V/def2-TZVPD.

Values from the calculation:
**Net charge**: -1
**Lowest unoccupied orbital energy**: 0.197 Eh
**Gap between HOMO and LUMO**: 8.72 eV

Each line ends with the natural charge from an NBO analysis.
CARTESIAN COORDINATES (ANGSTROEM)
N 2.46598 -0.06047 -0.28835  -0.47
N 0.36345 0.66520 0.44842  -0.57
N 1.38260 0.28034 -0.00980  0.19
O -1.86939 -0.18292 -0.00688  -1.04
H -0.93291 0.32774 -0.01923  0.45
H -1.40973 -1.02988 -0.12416  0.43

---

Entry 3:
A structure of composition C33H41Cl4GeIN5O6PTi at a distorted geometry, computed with wB97M-V/def2-TZVPD.

Values from the calculation:
**Expectation value of S²**: 0.75
**Net charge**: +1
**Multiplicity**: 2
**Lowest unoccupied orbital energy (alpha / beta)**: -0.152 / -0.155 Eh
**Gap between HOMO and LUMO (alpha / beta)**: 6.35 / 6.26 eV

Each line ends with the Löwdin spin population.
CARTESIAN COORDINATES (ANGSTROEM)
Ti -0.03322 -0.07551 0.05622  0.93
O -1.30375 1.57289 3.78643  0.01
C -0.97950 1.32963 2.54321  0.01
O -0.57836 0.24013 2.14658  0.00
C -1.07016 2.43853 1.57884  0.01
C -1.43043 3.75041 1.80406  0.00
C -1.34791 4.63189 0.72528  0.01
C -0.89965 4.17617 -0.50314  0.00
C -0.57707 2.83038 -0.63369  0.01
N -0.67712 1.99525 0.38294  0.00
C -0.03069 2.14816 -1.87438  0.00
O 0.34807 2.80837 -2.80807  0.00
O -0.00766 0.85531 -1.72520  -0.01
H -1.15063 0.77899 4.32792  0.00
H -1.75291 4.07479 2.78353  0.00
H -1.61890 5.67058 0.85700  0.00
H -0.78529 4.82661 -1.35959  0.00
>>>
[So much for the data records]
likely had a single hump
california sabertooth:
used forelimbs to pull down its prey then stabbed into the unprotected softer side
probably ambushed larger and slower animals like sloths, small mastodons, and mammoths
dire wolf:
most common La Brea mammal (16,000 have been found thus far)
trapped in tar while pursuing trapped animals
similar to modern timberwolf
hunted in packs of 3 to 20
ate mostly small mammals but could bring down a bison or a camel
short faced bear:
larger than any present day American bears
a foot taller than the grizzly and twice its weight
a massive skull, short snout, and long legs
American lion:
larger than African lion & California saber
probably the most formidable predator of its time
around 100 recovered from La Brea
The Page had a viewing vista to a laboratory like fossil cleaning area